Exercise =
Now find the line further below that holds "0.621", then write out that line and all lines after it there.

Entries =
┌──
No. 1
The following is a PBE+U calculation of a relaxed AlFe2O4 crystal, from the Materials Project.

a b c (Å): 5.998 5.943 5.941
angles (deg): 59.10 59.61 59.62
Positions (direct):
Al 0.882 0.867 0.868
Al 0.118 0.133 0.132
Fe 0.500 0.500 0.500
Fe 0.500 0.500 0.000
Fe 0.000 0.500 0.500
Fe 0.500 0.000 0.500
O 0.237 0.256 0.257
O 0.757 0.738 0.248
O 0.251 0.743 0.744
O 0.757 0.247 0.739
O 0.749 0.257 0.256
O 0.243 0.753 0.261
O 0.243 0.262 0.752
O 0.763 0.744 0.743

Computed properties:
Relative energy among the computed polymorphs   0.000 eV/f.u.
Electronic total energy   -6.980 eV per atom
Formation energy   -2.234 eV/atom



No. 2
The following is a PBE+U calculation of a relaxed LiMnP3O9 crystal, from the Materials Project.

a b c (Å): 7.543 9.114 10.863
angles (deg): 93.53 97.37 90.79
Positions (direct):
Li 0.296 0.503 0.368
Li 0.296 0.003 0.868
Li 0.704 0.497 0.632
Li 0.704 0.997 0.132
Mn 0.172 0.793 0.635
Mn 0.828 0.206 0.365
Mn 0.173 0.293 0.135
Mn 0.827 0.707 0.865
P 0.158 0.656 0.113
P 0.158 0.156 0.613
P 0.842 0.344 0.887
P 0.842 0.844 0.387
P 0.291 0.461 0.684
P 0.291 0.961 0.184
P 0.709 0.539 0.316
P 0.709 0.039 0.816
P 0.371 0.672 0.900
P 0.371 0.171 0.400
P 0.629 0.328 0.100
P 0.629 0.829 0.600
O 0.011 0.325 0.971
O 0.011 0.825 0.471
O 0.989 0.675 0.029
O 0.989 0.175 0.529
O 0.168 0.529 0.197
O 0.168 0.029 0.697
O 0.832 0.471 0.803
O 0.832 0.971 0.303
O 0.152 0.558 0.621
O 0.152 0.058 0.121
O 0.848 0.442 0.379
O 0.848 0.942 0.879
O 0.242 0.783 0.841
O 0.242 0.283 0.341
O 0.758 0.217 0.159
O 0.758 0.717 0.659
O 0.204 0.301 0.703
O 0.204 0.801 0.203
O 0.796 0.699 0.298
O 0.796 0.199 0.797
O 0.327 0.641 0.036
O 0.327 0.140 0.536
O 0.673 0.359 0.964
O 0.673 0.859 0.464
O 0.326 0.512 0.831
O 0.326 0.012 0.331
O 0.674 0.488 0.169
O 0.674 0.988 0.669
O 0.434 0.294 0.091
O 0.434 0.794 0.591
O 0.566 0.706 0.909
O 0.566 0.206 0.409
O 0.538 0.558 0.370
O 0.538 0.058 0.870
O 0.462 0.442 0.630
O 0.462 0.942 0.130

Computed properties:
Relative energy among the computed polymorphs   0.495 eV/f.u.
Electronic total energy   -7.170 eV per atom
Formation energy   -2.599 eV/atom



No. 3
The following is a PBE+U calculation of a relaxed MgMnNbO4 crystal, from the Materials Project.

a b c (Å): 5.635 5.635 5.635
angles (deg): 134.35 136.99 64.52
Positions (direct):
Mg 0.570 0.570 0.000
Mn 0.771 0.271 0.500
Nb 0.999 0.999 0.000
O 0.520 0.020 0.500
O 0.203 0.203 0.000
O 0.998 0.498 0.500
O 0.782 0.782 0.000

Computed properties:
Relative energy among the computed polymorphs   1.009 eV/f.u.
Electronic total energy   -7.634 eV per atom
Formation energy   -2.457 eV/atom



No. 4
The following is a PBE+U calculation of a relaxed Li9Mn2Co5O16 crystal, from the Materials Project.

a b c (Å): 5.933 5.933 10.344
angles (deg): 71.16 71.16 58.06
Positions (direct):
Li 0.505 0.505 0.995
Li 0.007 0.007 0.992
Li 0.748 0.247 0.260
Li 0.247 0.748 0.260
Li 0.998 0.998 0.505
Li 0.497 0.497 0.509
Li 0.252 0.748 0.736
Li 0.748 0.252 0.736
Li 0.250 0.250 0.747
Mn 0.000 0.501 0.997
Mn 0.501 0.000 0.997
Co 0.248 0.248 0.258
Co 0.749 0.749 0.251
Co 0.502 0.001 0.507
Co 0.001 0.502 0.507
Co 0.752 0.752 0.749
O 0.367 0.367 0.894
O 0.870 0.870 0.891
O 0.608 0.097 0.128
O 0.097 0.608 0.128
O 0.864 0.864 0.380
O 0.367 0.367 0.372
O 0.096 0.628 0.628
O 0.628 0.096 0.628
O 0.635 0.635 0.111
O 0.135 0.135 0.110
O 0.879 0.393 0.364
O 0.393 0.879 0.364
O 0.133 0.133 0.612
O 0.625 0.625 0.625
O 0.409 0.886 0.879
O 0.886 0.409 0.879

Computed properties:
Relative energy among the computed polymorphs   1.480 eV/f.u.
Electronic total energy   -5.808 eV per atom
Formation energy   -1.818 eV/atom



No. 5
The following is a PBE+U calculation of a relaxed Cs6Si2NiO8 crystal, from the Materials Project.

a b c (Å): 6.999 7.162 8.098
angles (deg): 87.49 88.53 69.33
Positions (direct):
Cs 0.202 0.702 0.011
Cs 0.721 0.209 0.478
Cs 0.798 0.298 0.989
Cs 0.660 0.831 0.167
Cs 0.340 0.169 0.833
Cs 0.279 0.791 0.522
Si 0.779 0.737 0.722
Si 0.221 0.263 0.278
Ni 0.000 0.500 0.500
└──

Done =
O 0.152 0.558 0.621
O 0.152 0.058 0.121
O 0.848 0.442 0.379
O 0.848 0.942 0.879
O 0.242 0.783 0.841
O 0.242 0.283 0.341
O 0.758 0.217 0.159
O 0.758 0.717 0.659
O 0.204 0.301 0.703
O 0.204 0.801 0.203
O 0.796 0.699 0.298
O 0.796 0.199 0.797
O 0.327 0.641 0.036
O 0.327 0.140 0.536
O 0.673 0.359 0.964
O 0.673 0.859 0.464
O 0.326 0.512 0.831
O 0.326 0.012 0.331
O 0.674 0.488 0.169
O 0.674 0.988 0.669
O 0.434 0.294 0.091
O 0.434 0.794 0.591
O 0.566 0.706 0.909
O 0.566 0.206 0.409
O 0.538 0.558 0.370
O 0.538 0.058 0.870
O 0.462 0.442 0.630
O 0.462 0.942 0.130

Computed properties:
Relative energy among the computed polymorphs   0.495 eV/f.u.
Electronic total energy   -7.170 eV per atom
Formation energy   -2.599 eV/atom



No. 3
The following is a PBE+U calculation of a relaxed MgMnNbO4 crystal, from the Materials Project.

a b c (Å): 5.635 5.635 5.635
angles (deg): 134.35 136.99 64.52
Positions (direct):
Mg 0.570 0.570 0.000
Mn 0.771 0.271 0.500
Nb 0.999 0.999 0.000
O 0.520 0.020 0.500
O 0.203 0.203 0.000
O 0.998 0.498 0.500
O 0.782 0.782 0.000

Computed properties:
Relative energy among the computed polymorphs   1.009 eV/f.u.
Electronic total energy   -7.634 eV per atom
Formation energy   -2.457 eV/atom



No. 4
The following is a PBE+U calculation of a relaxed Li9Mn2Co5O16 crystal, from the Materials Project.

a b c (Å): 5.933 5.933 10.344
angles (deg): 71.16 71.16 58.06
Positions (direct):
Li 0.505 0.505 0.995
Li 0.007 0.007 0.992
Li 0.748 0.247 0.260
Li 0.247 0.748 0.260
Li 0.998 0.998 0.505
Li 0.497 0.497 0.509
Li 0.252 0.748 0.736
Li 0.748 0.252 0.736
Li 0.250 0.250 0.747
Mn 0.000 0.501 0.997
Mn 0.501 0.000 0.997
Co 0.248 0.248 0.258
Co 0.749 0.749 0.251
Co 0.502 0.001 0.507
Co 0.001 0.502 0.507
Co 0.752 0.752 0.749
O 0.367 0.367 0.894
O 0.870 0.870 0.891
O 0.608 0.097 0.128
O 0.097 0.608 0.128
O 0.864 0.864 0.380
O 0.367 0.367 0.372
O 0.096 0.628 0.628
O 0.628 0.096 0.628
O 0.635 0.635 0.111
O 0.135 0.135 0.110
O 0.879 0.393 0.364
O 0.393 0.879 0.364
O 0.133 0.133 0.612
O 0.625 0.625 0.625
O 0.409 0.886 0.879
O 0.886 0.409 0.879

Computed properties:
Relative energy among the computed polymorphs   1.480 eV/f.u.
Electronic total energy   -5.808 eV per atom
Formation energy   -1.818 eV/atom



No. 5
The following is a PBE+U calculation of a relaxed Cs6Si2NiO8 crystal, from the Materials Project.

a b c (Å): 6.999 7.162 8.098
angles (deg): 87.49 88.53 69.33
Positions (direct):
Cs 0.202 0.702 0.011
Cs 0.721 0.209 0.478
Cs 0.798 0.298 0.989
Cs 0.660 0.831 0.167
Cs 0.340 0.169 0.833
Cs 0.279 0.791 0.522
Si 0.779 0.737 0.722
Si 0.221 0.263 0.278
Ni 0.000 0.500 0.500